The Honorable, The Senate:
Pursuant to Senate Rule 46(2)(c), I am writing to direct that Senate Bill 9 be withdrawn from the committee on Veterans, Homeland Security, Military Affairs, Small Business and Government Reform and rereferred to the committee on Job Creation, Economic Development and Consumer Affairs. I have obtained the consent of the appropriate chairperson.
Senate President
S155 State of Wisconsin
Legislative Audit Bureau
April 7, 2005
The Honorable, The Senate:
We have completed an evaluation of the Wisconsin Works (W-2) program, as requested by the Joint Legislative Audit Committee. W-2 is designed to help participants achieve economic self-sufficiency through employment. It is administered at the state level by the Department of Workforce Development (DWD) and at the local level through 52 contracts with public and private agencies. From the program's inception through June 2004, expenditures have totaled $1.5 billion. In June 2004, there were 15,539 participants, 79.8 percent of whom were in Milwaukee County.
The program's success in helping participants achieve economic self-sufficiency has been mixed. We examined Wisconsin income tax returns and quarterly wage data reported to DWD for 9,958 participants who left W-2 from 1999 through 2002. Approximately 20.0 percent of these former participants earned more than the poverty level in the year after they left the program; the majority likely did not. When tax credits are included, approximately 33.0 percent had incomes above the poverty level.
We identified concerns with DWD's management of the program and its oversight of W-2 agencies. For example, the number of work hours assigned to many participants has declined over time; some participants received payments when they were not eligible to receive them; participants are not consistently screened to determine whether they have potential barriers to employment; and sanctions are not applied consistently statewide. We make a number of recommendations for DWD to improve its management and oversight, and we identify issues the Legislature will need to consider as it debates the future funding and structure of the W-2 program.
We appreciate the courtesy and cooperation extended to us by DWD and the W-2 agencies we contacted during our evaluation. DWD's response follows the appendices.
State Auditor
The State of Wisconsin
office of the governor
executive order #94
Relating to the Creation of the Autism Advisory Council
WHEREAS, Wisconsin serves over 1,500 children with autism through the Children's Home and Community-Based Services Medicaid Waivers; and
WHEREAS, children with autism benefit from early and intensive treatment and have capabilities and competencies, and make a contribution to the community; and
WHEREAS, families are the greatest resource for their children with autism and benefit from supports and services to meet their children's needs; and
WHEREAS, family members and members of the community play a central role in enhancing the lives of children with autism; and
WHEREAS, the Department of Health and Family Services is responsible for administering these supports and services; and
NOW, THEREFORE, I, JIM DOYLE, Governor of the State of Wisconsin, by the authority vested in me by the Constitution and the Laws of this State, and specifically by Wis. Stat. s. 14.019, do hereby:
Create the Autism Advisory Council ("Council"); and
2. Provide that the Governor shall make the final selections and respective appointments to the Council which shall consist of no more than fifteen (15) members; and
3. Provide that at least a majority of the Council be parents of children with autism; and
4. Provide that the remaining members of the Council may include the following individuals:
-providers of services to children with autism;
-local government officials;
-persons with knowledge of the issues relating to autism;
-public members; and
5. Provide that the Council shall meet quarterly; and
6. Provide that the Council shall have the following mission:
-To advise the Department of Health and Family Services on strategies for implementing statewide supports and services for children with autism; and
7. Direct the Department of Health and Family Services to assist the Council with administrative and support services.
IN TESTIMONY WHEREOF, I have hereunto set my hand and caused the Great Seal of the State of Wisconsin to be affixed. Done at the Capitol in the City of Madison this fifth day of April, in the year two thousand five.
By the governor:
Secretary of State
The State of Wisconsin
office of the governor
executive order #95
Relating to a Proclamation that the Flag of the United States and the Flag of the State of Wisconsin be Flown at Half-Staff as a Mark of Respect for Sergeant First Class Donald Eacho of the United States Army Who Lost His Life During Operation Iraqi Freedom
WHEREAS, on March 4, 2005, Sergeant First Class Donald Eacho, a member of 1st Infantry Battalion, 9th Infantry Regiment, 2nd Brigade Combat Team, United States Army, was killed during enemy action; and
WHEREAS, Sergeant First Class Donald Eacho provided faithful and honorable service to the people of the State of Wisconsin and the people of the United States; and
WHEREAS, the people of Wisconsin mourn the death of Sergeant First Class Donald Eacho; and
WHEREAS, a memorial service will be held for Sergeant First Class Donald Eacho on Saturday, April 9, 2005;
# What comes next are records of crystals, not part of the page
No. 1
This record from the Alexandria database describes crystalline Cu2Tc at its relaxed geometry. The functional is GGA-PBE.

Cell and atoms, written as POSCAR:
```
Cu2Tc
1.0
4.238 0.000 0.000
-2.119 3.671 0.000
0.000 0.000 5.111
Cu Tc
4 2
direct
0.000 0.000 0.000
0.000 0.000 0.500
0.333 0.667 0.250
0.667 0.333 0.750
0.333 0.667 0.750
0.667 0.333 0.250
```

Values from the calculation:
The space group is P6_3/mmc (194). The calculation puts the density of states at the Fermi level at 1.41 states/eV per atom. Its calculated volume is 13.25 A^3/atom. For the total energy, the calculation gives -33.8 eV for the cell shown. The calculation puts the density at 9.40 Mg/m³. The formation energy comes out at 550.9 meV per atom. The magnetic moment is 2.0 μB per cell.

***

No. 2
This record from the Alexandria database describes crystalline Cu2Tc at its relaxed geometry. The functional is GGA-PBE.

Cell and atoms, written as POSCAR:
```
Cu2Tc
1.0
4.787 0.000 0.000
-2.393 4.146 0.000
0.000 0.000 7.598
Cu Tc
8 4
direct
0.000 0.000 0.000
0.000 0.000 0.500
0.171 0.343 0.250
0.171 0.829 0.250
0.343 0.171 0.750
0.657 0.829 0.250
0.829 0.171 0.750
0.829 0.657 0.750
0.333 0.667 0.571
0.333 0.667 0.929
0.667 0.333 0.071
0.667 0.333 0.429
```

Values from the calculation:
The space group is P6_3/mmc (194). The calculation puts the density of states at the Fermi level at 0.52 states/eV per atom. Its calculated volume is 12.56 A^3/atom. For the total energy, the calculation gives -71.8 eV for the cell shown. The calculation puts the density at 9.92 Mg/m³. The formation energy comes out at 201.6 meV per atom. The magnetic moment is 0.0 μB per cell.

***

No. 3
This record from the Alexandria database describes crystalline CuTc3 at its relaxed geometry. The functional is GGA-PBE.

Cell and atoms, written as POSCAR:
```
CuTc3
1.0
4.644 0.000 0.000
0.000 8.844 0.000
0.000 0.000 5.463
Cu Tc
4 12
direct
0.098 0.250 0.137
0.402 0.750 0.637
0.598 0.250 0.363
0.902 0.750 0.863
0.099 0.250 0.631
0.240 0.000 0.885
0.240 0.500 0.885
0.260 0.000 0.385
0.260 0.500 0.385
0.401 0.750 0.131
0.599 0.250 0.869
0.740 0.000 0.615
0.740 0.500 0.615
0.760 0.000 0.115
0.760 0.500 0.115
0.901 0.750 0.369
```

Values from the calculation:
The space group is Pnma (62). The calculation puts the density of states at the Fermi level at 0.86 states/eV per atom. Its calculated volume is 14.02 A^3/atom. For the total energy, the calculation gives -138.0 eV for the cell shown. The calculation puts the density at 10.58 Mg/m³. The formation energy comes out at 173.3 meV per atom. The magnetic moment is 0.0 μB per cell.

***

No. 4
This record from the Alexandria database describes crystalline CuTc3 at its relaxed geometry. The functional is GGA-PBE.

Cell and atoms, written as POSCAR:
```
CuTc3
1.0
0.000 2.696 3.859
2.692 0.000 3.859
2.692 2.696 0.000
Cu Tc
1 3
direct
0.000 0.000 0.000
0.250 0.250 0.250
0.500 0.500 0.500
0.750 0.750 0.750
```

Values from the calculation:
NOW, THEREFORE, I, JIM DOYLE, Governor of the State of Wisconsin, by the authority vested in me by Federal and State law, do hereby order that the flag of the United States and the flag of the State of Wisconsin shall be flown at half-staff at all buildings, grounds and military installations of the State of Wisconsin equipped with such flags beginning at sunrise on Saturday, April 9, 2005, and ending at sunset on that date.
IN TESTIMONY WHEREOF, I have hereunto set my hand and caused the Great Seal of the State of Wisconsin to be affixed. Done at the Capitol in the City of Madison this sixth day of April, in the year two thousand five.
By the governor:
Secretary of State
S156 State of Wisconsin
Public Service Commission
March 31, 2005
The Honorable, The Senate:
The enclosed audit report on Piepgras Holding Company and its impact on the operations of St. Croix Valley Natural Gas Company (St. Croix) was prepared as required by Wis. Stat. 196.795(7)(ar) for distribution to the Legislature under Wis. Stat. 13.172(2). This report covers financial operations for calendar years 2002 through 2004.
Secretary to the commission
State of Wisconsin
Building Commission
April 4, 2005
The Honorable, The Legislature:
Section 13.48(2)(e) stipulates that the Wisconsin State Building Commission shall report to the Legislature at each regular session the progress on projects authorized in the two preceding and current biennia. This report is submitted in accordance with that provision and covers the period from July 1999 through December 2004. Projects having budgets over $100,000 are listed in detail. Those of lesser amounts have been grouped for each agency as one item for the biennium in which they were authorized.
In summary, during this five and a half year period, the Building Commission approved projects with a total value of $1,871,768,474.05. Of that amount, $1,373,501,878.06 has been spent or encumbered, leaving a balance of $498,266,595.99 to be used to complete projects in progress. The sources of funds for the projects are either cash or borrowed funds which flow through the Building Trust Fund, the Capital Improvement fund, or agency operating budgets.
Each section of this report is organized by the state agency for whom the facilities are being built. The Wisconsin State Controller's Office and user agencies have provided information presented in this report. Building Commission staff has not attempted to verify the figures that were obtained by user agencies. The staff has merely assembled the material provided by each agency and presents it for your review.
Pursuant to Senate Rule 17 (5), Senator Grothman added as a coauthor to Senate Bill 126.
State of Wisconsin
April 1, 2005
The Honorable, The Legislature:
Please sign me on as a co-sponsor to Senate Bill 15 relating to a 10 percent Ethanol requirement in gasoline.
I greatly appreciate your assistance and apologize for the inconvenience.
State Representative
State of Wisconsin
April 5, 2005
The Honorable, The Legislature: